Thursday, June 25, 2009

Gunpowder, Here We Come!

I never imagined that Ben and I would be able to buy our first home within the first year of our marriage, but our dream is coming true! We recently made an offer on this cozy home and our offer was accepted! There is so much to share, but this post will have to be brief since I am in the midst of Urinetown rehearsals and I need to run out the door, but let me give you the stats:

Location: Battery Point on Wilmington Island
1,214 sq ft
3 Bedrooms
2 Baths
1 Car Garage (Perfect for Ben's BMW)
Fenced-in Backyard (Perfect for Quinnie)
Open floor plan
Built in 1989
All new Appliances

I'll share our big/budget friendly remodeling ideas on my next post.

Ain't she pretty?

Just say a prayer that everything in the next few weeks goes smoothly for us.
I am the luckest girl I know!

Ben and our Realtor, Dan Akins-he's worked his butt off for us.

Lovely fireplace leading up to a vaulted ceiling!

A view from the living room into the kitchen area...we have many plans for this area. Ohh lala...skylights

The front door is to your right. Welcome!

Don't judge the kitchen...she will get a makeover sooner than later.
Note the new appliances.

**Someone pasted calculated crystals at this point:**
-- begin --
(1)
Computed, not measured: an optimized crystal structure of SrY2S4 at the PBE-GGA level of DFT.

Cell: 4.004 12.064 14.402 Å, 90.00 90.00 90.00°
Positions (direct):
Sr 0.250 0.258 0.838
Sr 0.750 0.742 0.162
Sr 0.250 0.758 0.662
Sr 0.750 0.242 0.338
Y 0.250 0.932 0.890
Y 0.750 0.068 0.110
Y 0.250 0.432 0.610
Y 0.750 0.568 0.390
Y 0.250 0.419 0.101
Y 0.750 0.581 0.899
Y 0.250 0.919 0.399
Y 0.750 0.081 0.601
S 0.250 0.130 0.473
S 0.750 0.870 0.527
S 0.250 0.630 0.027
S 0.750 0.370 0.973
S 0.750 0.793 0.825
S 0.250 0.207 0.175
S 0.750 0.293 0.675
S 0.250 0.707 0.325
S 0.750 0.086 0.922
S 0.250 0.914 0.078
S 0.750 0.586 0.578
S 0.250 0.414 0.422
S 0.750 0.478 0.216
S 0.250 0.522 0.784
S 0.750 0.978 0.284
S 0.250 0.022 0.716

Summary:
energy with MP2020 corrections = -6.8680 eV per atom
calculated volume = 696 Å³ per cell
polymorph energy (0 for the lowest one) = 0.000 eV/atom
E_form = -1631.3 kJ/mol of formula units
DFT total energy = -6.5806 eV per atom



(2)
Computed, not measured: an optimized crystal structure of SrY2S4 at the PBE-GGA level of DFT.

Cell: 7.397 7.397 7.397 Å, 109.40 109.40 109.61°
Positions (direct):
Sr 0.500 0.500 0.000
Sr 0.750 0.250 0.500
Y 0.625 0.995 0.870
Y 0.005 0.875 0.630
Y 0.125 0.755 0.130
Y 0.245 0.375 0.370
S 0.239 0.638 0.746
S 0.888 0.989 0.246
S 0.507 0.761 0.399
S 0.892 0.493 0.254
S 0.743 0.642 0.754
S 0.358 0.112 0.101
S 0.011 0.257 0.899
S 0.362 0.108 0.601

Summary:
magnetic moment = 0.000 μB per atom
energy with MP2020 corrections = -6.7960 eV per atom
calculated volume = 311 Å³ per cell
maximum piezoelectric response = 0.65 C/m²
polymorph energy (0 for the lowest one) = 0.072 eV/atom
E_form = -1582.7 kJ/mol of formula units
DFT total energy = -6.5086 eV per atom



(3)
Computed, not measured: an optimized crystal structure of SrZrS3 at the PBE-GGA level of DFT.

Cell: 3.846 8.606 14.068 Å, 90.00 90.00 90.00°
Positions (direct):
Sr 0.250 0.067 0.179
Sr 0.750 0.933 0.821
Sr 0.250 0.567 0.321
Sr 0.750 0.433 0.679
Zr 0.750 0.672 0.057
Zr 0.750 0.172 0.443
Zr 0.250 0.828 0.557
Zr 0.250 0.328 0.943
S 0.750 0.663 0.486
S 0.250 0.206 0.784
S 0.250 0.484 0.106
S 0.250 0.984 0.394
S 0.250 0.337 0.514
S 0.750 0.016 0.606
S 0.750 0.163 0.014
S 0.250 0.706 0.716
S 0.750 0.294 0.284
S 0.750 0.794 0.216
S 0.250 0.837 0.986
S 0.750 0.516 0.894

Summary:
energy with MP2020 corrections = -6.6073 eV per atom
calculated volume = 466 Å³ per cell
E_form = -1002.5 kJ/mol of formula units
DFT total energy = -6.3055 eV per atom



(4)
Computed, not measured: an optimized crystal structure of SrZrS3 at the PBE-GGA level of DFT.

Cell: 6.792 7.184 9.846 Å, 90.00 90.00 90.00°
Positions (direct):
Sr 0.475 0.080 0.250
Sr 0.975 0.420 0.750
Sr 0.025 0.580 0.250
Sr 0.525 0.920 0.750
Zr 0.000 0.000 0.000
Zr 0.500 0.500 0.000
Zr 0.500 0.500 0.500
Zr 0.000 0.000 0.500
S 0.402 0.520 0.750
S 0.902 0.980 0.250
S 0.098 0.020 0.750
S 0.598 0.480 0.250
S 0.192 0.303 0.051
S 0.692 0.197 0.949
S 0.308 0.803 0.449
S 0.808 0.697 0.551
-- stop --

The closed door to the right leads to the garage. Notice the pantry room!!! Yes, I said ROOM. And Ben likes the fact that there is a water spout on the fridge. Ice cold water. aaaahhhh.

My pantry.....hehehehe. Envision shelves full of mandarin oranges, green beans, Bisquick, and brownie mix. (ha) Oh and don't forget the Saltines for Ben.

A view from the living room into the dinning room. Think tiger strand bamboo flooring and a soft blue hue on the wall.

Sliding doors leading out to the deck.

View from the 1st guest bedroom/office. The door at the far right leads into the guest bathroom/laundry room and the door to the left leads to the 2nd guest bedroom/Ben's studio. At the end of the hall leads to the Master bedroom/love shack.

love shack

Master bath

Master "walk in" closet. We'll be living a life of luxury.

1st guest bedroom/office

2nd guest bedroom/Ben's studio

Guest bathroom

Guest bathroom leading into laundry room.

Laundry room. I can't believe we are going to have our very own washer and dryer!!!!

BMW House

Side of the house leading to the backyard. I see many nights sitting out on the porch grilling out looking up at the starry sky. I can't wait!!!

The backyard. Quinnie is going to be in heaven!

x's & o's,

Tuesday, June 16, 2009

### Calculated crystals that have nothing to do with the article
........
# Na4Zn2In2SiS5O24 PBE optimized geometry
data_Na4Zn2In2SiS5O24
_chemical_formula_sum 'Na12 Zn6 In6 Si3 S15 O72'
_symmetry_space_group_name_H-M 'P 1'
_symmetry_Int_Tables_number 1
_cell_length_a 8.945
_cell_length_b 8.988
_cell_length_c 22.892
_cell_angle_alpha 90.51
_cell_angle_beta 90.37
_cell_angle_gamma 119.75
loop_
_symmetry_equiv_pos_as_xyz
'x,y,z'
loop_
_atom_site_label
_atom_site_type_symbol
_atom_site_fract_x
_atom_site_fract_y
_atom_site_fract_z
_atom_site_occupancy
Na1 Na 0.000 0.000 0.000 1
Na2 Na 0.004 0.000 0.487 1
Na3 Na 0.038 0.331 0.578 1
Na4 Na 0.319 0.653 0.160 1
Na5 Na 0.324 0.652 0.656 1
Na6 Na 0.347 0.989 0.234 1
Na7 Na 0.654 0.011 0.747 1
Na8 Na 0.666 0.314 0.825 1
Na9 Na 0.683 0.350 0.320 1
Na10 Na 0.696 0.676 0.917 1
Na11 Na 0.957 0.292 0.907 1
Na12 Na 0.970 0.673 0.396 1
Zn1 Zn 0.000 0.982 0.146 1
Zn2 Zn 0.011 0.015 0.643 1
Zn3 Zn 0.345 0.674 0.502 1
Zn4 Zn 0.658 0.298 0.977 1
Zn5 Zn 0.662 0.328 0.474 1
Zn6 Zn 0.997 0.992 0.328 1
In1 In 0.001 0.008 0.836 1
In2 In 0.332 0.660 0.308 1
In3 In 0.332 0.667 0.805 1
In4 In 0.346 0.681 0.008 1
In5 In 0.676 0.337 0.669 1
In6 In 0.689 0.350 0.174 1
Si1 Si 0.006 0.704 0.244 1
Si2 Si 0.007 0.308 0.736 1
Si3 Si 0.635 0.966 0.903 1
S1 S 0.035 0.669 0.907 1
S2 S 0.036 0.365 0.411 1
S3 S 0.294 0.292 0.239 1
S4 S 0.297 0.002 0.737 1
S5 S 0.340 0.370 0.908 1
S6 S 0.342 0.969 0.409 1
S7 S 0.370 0.041 0.076 1
S8 S 0.375 0.335 0.571 1
S9 S 0.633 0.666 0.409 1
S10 S 0.665 0.031 0.571 1
S11 S 0.671 0.629 0.070 1
S12 S 0.709 0.001 0.239 1
S13 S 0.710 0.702 0.738 1
S14 S 0.972 0.637 0.569 1
S15 S 0.977 0.333 0.070 1
O1 O 0.018 0.194 0.402 1
O2 O 0.024 0.220 0.676 1
O3 O 0.024 0.827 0.901 1
O4 O 0.046 0.830 0.189 1
O5 O 0.110 0.630 0.855 1
O6 O 0.119 0.480 0.360 1
O7 O 0.139 0.444 0.465 1
O8 O 0.139 0.691 0.961 1
O9 O 0.145 0.647 0.565 1
O10 O 0.153 0.493 0.068 1
O11 O 0.178 0.497 0.741 1
O12 O 0.183 0.983 0.405 1
O13 O 0.187 0.691 0.245 1
O14 O 0.190 0.193 0.902 1
O15 O 0.190 0.217 0.185 1
O16 O 0.191 0.979 0.685 1
O17 O 0.199 0.027 0.078 1
O18 O 0.201 0.178 0.573 1
O19 O 0.214 0.194 0.292 1
O20 O 0.218 0.013 0.793 1
O21 O 0.297 0.446 0.959 1
O22 O 0.316 0.852 0.458 1
O23 O 0.329 0.854 0.739 1
O24 O 0.332 0.473 0.244 1
O25 O 0.349 0.488 0.568 1
O26 O 0.353 0.866 0.073 1
O27 O 0.365 0.473 0.855 1
O28 O 0.366 0.895 0.353 1
O29 O 0.457 0.138 0.023 1
O30 O 0.464 0.292 0.234 1
O31 O 0.465 0.320 0.520 1
O32 O 0.470 0.161 0.735 1
O33 O 0.474 0.124 0.130 1
O34 O 0.474 0.357 0.626 1
O35 O 0.497 0.140 0.416 1
O36 O 0.502 0.365 0.917 1
O37 O 0.509 0.643 0.070 1
O38 O 0.512 0.860 0.563 1
O39 O 0.530 0.643 0.354 1
O40 O 0.532 0.887 0.841 1
O41 O 0.537 0.841 0.244 1
O42 O 0.543 0.702 0.740 1
O43 O 0.545 0.680 0.461 1
O44 O 0.546 0.830 0.956 1
O45 O 0.639 0.101 0.628 1
O46 O 0.654 0.525 0.122 1
O47 O 0.658 0.512 0.411 1
O48 O 0.664 0.159 0.911 1
O49 O 0.670 0.146 0.235 1
O50 O 0.676 0.524 0.732 1
O51 O 0.682 0.544 0.015 1
O52 O 0.692 0.151 0.523 1
O53 O 0.793 0.989 0.186 1
O54 O 0.804 0.768 0.795 1
........

Velveteen Morning

I had heard from a little bird that there was going to be an estate sale above a florist shop early Saturday morning. So I got up, bright and early, and made my way to the sale. With a budget of $20 I was looking for a bargain, and I definitely found one. The minute I walked into the room I spotted these gorgeous velvet leaves and roses. Each bag was only $3! The flowers are the perfect accent for any wedding gift, or to dress up a birthday card envelope. I just couldn't resist. While I was carrying the bags of flowers I fell upon the woven basket, which was perfect to hold my new finds. SO, I bought it all for a "pricey" $11. Then on my way back to the house with my new treasures I spotted a garage sale in Ardsley Park. There I found a side table with lots of potential for only $7. I arrived home with still $2 to spare! wink.

From CW with Love

Home Sweet Home: Living Room Addition

Data records, kept here for reference
~~~
(1)
{
  "formula": "UTe6O6F30",
  "functional": "PBE-GGA",
  "state": "relaxed",
  "dft_energy_ev_per_atom": -4.7197,
  "formation_energy_ev_per_atom": -2.411,
  "lattice_angstrom": [[-1.256, -8.292, 5.489], [8.879, 1.016, -4.539], [6.473, 1.520, 7.954]],
  "species": ["F", "O", "F", "F", "F", "O", "F", "F", "F", "F", "Te", "F", "U", "F", "Te", "F", "F", "Te", "F", "O", "O", "F", "F", "O", "F", "F", "F", "F", "F", "F", "F", "F", "Te", "F", "F", "F", "F", "Te", "F", "F", "Te", "O", "F"],
  "frac_coords": [[0.120, 0.328, 0.590], [0.783, 0.954, 0.128], [0.736, 0.581, 0.913], [0.481, 0.040, 0.878], [0.053, 0.209, 0.342], [0.107, 0.107, 0.127], [0.209, 0.053, 0.342], [0.583, 0.111, 0.602], [0.702, 0.138, 0.237], [0.111, 0.583, 0.602], [0.079, 0.403, 0.735], [0.960, 0.519, 0.122], [0.000, 0.000, 0.000], [0.419, 0.264, 0.087], [0.235, 0.235, 0.214], [0.297, 0.510, 0.706], [0.417, 0.889, 0.398], [0.765, 0.765, 0.786], [0.703, 0.490, 0.294], [0.893, 0.893, 0.873], [0.217, 0.046, 0.872], [0.519, 0.960, 0.122], [0.040, 0.481, 0.878], [0.954, 0.783, 0.128], [0.490, 0.703, 0.294], [0.672, 0.880, 0.410], [0.889, 0.417, 0.398], [0.791, 0.947, 0.658], [0.360, 0.360, 0.298], [0.510, 0.297, 0.706], [0.640, 0.640, 0.702], [0.947, 0.791, 0.658], [0.597, 0.921, 0.265], [0.138, 0.702, 0.237], [0.264, 0.419, 0.087], [0.880, 0.672, 0.410], [0.581, 0.736, 0.913], [0.403, 0.079, 0.735], [0.862, 0.298, 0.763], [0.328, 0.120, 0.590], [0.921, 0.597, 0.265], [0.046, 0.217, 0.872], [0.298, 0.862, 0.763]]
}

---

(2)
{
  "formula": "Te2XeO4F10",
  "functional": "PBE-GGA",
  "state": "relaxed",
  "dft_energy_ev_per_atom": -3.7472,
  "formation_energy_ev_per_atom": -1.518,
  "lattice_angstrom": [[-4.148, -18.343, -10.011], [5.296, -0.690, -0.929], [4.043, -5.626, 8.633]],
  "species": ["F", "F", "F", "F", "F", "F", "O", "O", "F", "O", "F", "F", "O", "F", "F", "F", "O", "O", "F", "O", "F", "F", "Te", "Te", "F", "F", "Te", "F", "O", "F", "F", "Xe", "O", "F", "O", "O", "F", "O", "F", "Te", "O", "F", "Xe", "F", "F", "F", "Xe", "Te", "F", "F", "F", "F", "F", "F", "O", "F", "O", "O", "F", "Te", "Te", "F", "Xe", "F", "F", "F", "Te", "F"],
~~~
End of the data records

A few weeks ago, while Ben was out of town at a disc golf tournament, I decided to switch around the living room. I had told myself a while back that I wasn't going to bother with decorating anymore because we are planning to move in August, but I just couldn't resist.
I have always had a love for all things vintage/antique. Possibly attributed to my time growing up in Europe and looking for treasures in the local Brocantes, or searching out trinkets on our different travels. Recently I have been re-inspired to go out garage saling, estate saling, and antique hunting. Surprise, surprise. I come home with something new each time! I recently rediscovered Habersham Antiques (HA) which helped us finish our living room set for the time being. The "coffee" table in the center of the room was an old ship hatch from the WWII Liberty Ships built here in Savannah. It was stuffed away in a corn at HA priced at only $150. I later looked online to see how much a table like that might go for on ebay and I found that some sell from $500 to over a $1000 bucks!!! What a steal. Then on the same trip I feel upon the blue vintage couch for only $125. We also found 1960's Shaw-Walker Chair in amazing condition, so we decided to add that to the bunch too.
Some other fun things you'll find in the living room is a collection of artwork by friends ofcourse, my lovey, Ben. The Confederate Zombie feels right at home. Please note the orange retro lamps. Mama Ward picked those up for Ben and I at good ol' Tj's during our last trip home. Also, a special thanks to my friendly neighbor for lending me her curtains. They really soften up the room. Someday, in our future home, everything won't be crammed into one room, but for now I think it looks comfy and eclectic. Just the way the Ward's like it.

Tata & Love, CW